**Entries**
........
This entry pairs a crystal structure of Gd2Sn2O7 with its calculated X-ray powder pattern. Radiation: Cu Kα (λ = 1.5418 Å). Structure: a crystal structure in the Materials Project, relaxed with PBE.
Peak positions follow from Bragg's law for the DFT cell and can differ from measured ones.

a b c (Å): 10.588 10.588 10.588
angles (deg): 90.00 90.00 90.00
Space group Fd-3m (No. 227, origin choice 2)
One atom of each set of equivalent atoms:
Gd  0.000  0.000  0.000 [16 per cell]
Sn  0.000  0.000  0.500 [16 per cell]
O  0.087  0.375  0.875 [48 per cell]
O  0.125  0.125  0.125 [8 per cell]

Most intense lines, 2θ from 10° to 80°, by angle:
- 14.49°, I = 1
- 29.22°, I = 100
- 33.87°, I = 34
- 37.01°, I = 3
- 44.46°, I = 1
- 48.65°, I = 49
- 57.76°, I = 45
........
**Request**
What is needed: start at the top of the rows further up and duplicate each line, ending with the one that has "48.65°,".
**Here it is**
This entry pairs a crystal structure of Gd2Sn2O7 with its calculated X-ray powder pattern. Radiation: Cu Kα (λ = 1.5418 Å). Structure: a crystal structure in the Materials Project, relaxed with PBE.
Peak positions follow from Bragg's law for the DFT cell and can differ from measured ones.

a b c (Å): 10.588 10.588 10.588
angles (deg): 90.00 90.00 90.00
Space group Fd-3m (No. 227, origin choice 2)
One atom of each set of equivalent atoms:
Gd  0.000  0.000  0.000 [16 per cell]
Sn  0.000  0.000  0.500 [16 per cell]
O  0.087  0.375  0.875 [48 per cell]
O  0.125  0.125  0.125 [8 per cell]

Most intense lines, 2θ from 10° to 80°, by angle:
- 14.49°, I = 1
- 29.22°, I = 100
- 33.87°, I = 34
- 37.01°, I = 3
- 44.46°, I = 1
- 48.65°, I = 49